(What to do)
Return the whole of the contents underneath with every line break kept.

(File)
[1]
# Li5CoO4

A relaxed structure of Li5CoO4 (PBE+U, the Materials Project).

Summary:
Piezoelectric modulus e_max: 0.18 C/m2
Polymorph energy (0 for the lowest one): 3 meV per atom
E (MP2020): -5.5652 eV/atom
Crystal system: orthorhombic
Calculated volume: 196.37 Å³ per cell

The structure in extended XYZ format:
```
20
Lattice="4.403 -4.721 0.000 4.403 4.721 0.000 0.000 0.000 4.723" Properties=species:S:1:pos:R:3 pbc="T T T"
Li 4.403 4.553 2.362
Li 2.600 -2.399 4.599
Li 6.207 -2.399 0.124
Li 4.403 -0.168 0.000
Li 6.890 -0.020 4.447
Li 1.917 -0.020 0.276
Li 6.207 2.322 2.238
Li 2.600 2.322 2.486
Li 6.320 -0.020 2.085
Li 2.486 -0.020 2.638
O 1.231 1.191 1.604
O 3.251 3.483 1.059
O 5.635 1.191 0.758
O 7.575 1.191 3.119
O 3.251 -1.238 1.303
O 5.556 -1.238 3.421
O 3.172 1.191 3.966
O 5.556 3.483 3.664
Co 4.403 -2.298 2.362
Co 4.403 2.423 0.000
```

***

[2]
# Li7Co2O6

A relaxed structure of Li7Co2O6 (PBE+U, the Materials Project).

Summary:
Polymorph energy (0 for the lowest one): 0 meV per atom
Total magnetization: 7.0 μB per cell
E (MP2020): -5.6393 eV/atom
Crystal system: triclinic
Calculated volume: 146.19 Å³ per cell

The structure in extended XYZ format:
```
15
Lattice="-5.289 0.000 0.000 0.721 5.304 0.000 -0.265 -2.637 -5.212" Properties=species:S:1:pos:R:3 pbc="T T T"
Li -0.868 0.697 -0.910
Li -4.157 3.108 -4.230
Li -2.137 -0.769 -4.371
Li -0.347 0.853 -4.322
Li -2.019 4.274 -0.311
Li 0.386 3.982 -1.954
Li -4.232 2.063 -0.778
O -0.863 2.721 -0.812
O -4.285 0.001 -0.969
O -0.923 2.705 -4.381
O -1.583 0.217 -2.664
O -3.606 2.386 -2.548
O -4.025 -0.239 -4.211
Co -1.644 2.381 -2.603
Co -3.536 0.415 -2.597
```

***

[3]
# Li8Co5O10

A relaxed structure of Li8Co5O10 (PBE+U, the Materials Project).

Summary:
Polymorph energy (0 for the lowest one): 0 meV per atom
Total magnetization: 13.0 μB per cell
E (MP2020): -6.0747 eV/atom
Crystal system: triclinic
Calculated volume: 254.55 Å³ per cell

The structure in extended XYZ format:
```
23
Lattice="2.157 -3.918 2.957 -6.054 1.835 2.000 -3.251 -4.028 -6.170" Properties=species:S:1:pos:R:3 pbc="T T T"
Li -2.428 -5.321 -2.158
Li -6.915 -2.987 -3.986
Li -5.093 -1.991 -2.697
Li -6.422 -1.845 -0.682
Li -0.348 -3.189 2.948
Li -4.587 -0.793 0.517
Li 0.285 -2.418 0.751
Li -0.885 -4.262 -0.293
O -2.893 -4.160 -0.645
O -3.808 -0.905 2.319
O -7.038 -1.699 -2.541
O -4.479 -2.164 -0.870
O -4.956 -3.285 -4.280
O -0.495 -2.479 -1.101
O -0.018 -4.271 1.425
O -2.179 -2.660 3.323
O -6.504 -3.626 0.155
O -3.380 -5.319 -3.855
Co -1.969 -1.034 2.466
Co -4.690 -3.887 -0.235
Co -2.947 -3.454 -4.360
Co -4.143 -2.664 3.242
Co -2.485 -2.224 -1.060
```

***

[4]
# Li4CoO4

A relaxed structure of Li4CoO4 (PBE+U, the Materials Project).

Summary:
Polymorph energy (0 for the lowest one): 0 meV per atom
Total magnetization: 39.6 μB per cell
E (MP2020): -5.6243 eV/atom
Crystal system: monoclinic
Calculated volume: 786.08 Å³ per cell

The structure in extended XYZ format:
```
72
Lattice="-0.074 -9.109 2.108 1.866 -2.032 -8.717 9.041 0.310 1.657" Properties=species:S:1:pos:R:3 pbc="T T T"
Li 5.626 -5.726 1.174
Li 7.337 -7.069 -5.040
Li 6.577 -4.554 -3.691
Li 2.603 -9.090 -3.188
Li 1.808 -4.122 -2.523
Li 2.722 -7.559 -6.320
Li 4.636 -2.090 -4.642
Li 4.281 -1.802 -2.236
Li 6.420 -4.071 -1.140
Li 4.740 -6.980 -3.738
Li 1.094 -8.173 0.562
Li 3.121 -5.888 0.994
Li 2.082 -2.554 -5.331
Li 6.924 -1.733 -2.244
Li 1.613 -6.447 -1.680
Li 2.150 -6.761 -4.100
Li 4.074 -4.448 -3.933
Li 1.724 -1.369 -0.381
Li 3.827 -3.539 0.059
Li 6.365 -8.206 0.034
Li 9.291 -4.935 -5.694
Li 7.801 -9.662 -5.003
Li 3.644 -8.327 1.394
Li 5.160 -9.555 -5.035
Li 1.233 -3.854 -0.179
Li 3.936 -8.593 -1.038
Li 4.924 -2.924 -6.944
Li 2.565 -5.098 -6.586
Li 7.350 -2.838 -5.802
Li 9.138 -9.048 -2.146
Li 8.339 -6.306 -0.784
Li 8.261 -1.051 0.596
O 6.709 -6.193 2.715
O 4.596 -7.055 0.093
O 8.110 -5.539 -4.239
O 3.675 -6.040 -5.186
O 2.742 -5.003 -0.833
O 9.274 -6.652 1.092
O 5.181 -2.557 -0.794
O 5.386 -9.848 -1.405
O 6.673 -1.734 1.674

(Written answer)
[1]
# Li5CoO4

A relaxed structure of Li5CoO4 (PBE+U, the Materials Project).

Summary:
Piezoelectric modulus e_max: 0.18 C/m2
Polymorph energy (0 for the lowest one): 3 meV per atom
E (MP2020): -5.5652 eV/atom
Crystal system: orthorhombic
Calculated volume: 196.37 Å³ per cell

The structure in extended XYZ format:
```
20
Lattice="4.403 -4.721 0.000 4.403 4.721 0.000 0.000 0.000 4.723" Properties=species:S:1:pos:R:3 pbc="T T T"
Li 4.403 4.553 2.362
Li 2.600 -2.399 4.599
Li 6.207 -2.399 0.124
Li 4.403 -0.168 0.000
Li 6.890 -0.020 4.447
Li 1.917 -0.020 0.276
Li 6.207 2.322 2.238
Li 2.600 2.322 2.486
Li 6.320 -0.020 2.085
Li 2.486 -0.020 2.638
O 1.231 1.191 1.604
O 3.251 3.483 1.059
O 5.635 1.191 0.758
O 7.575 1.191 3.119
O 3.251 -1.238 1.303
O 5.556 -1.238 3.421
O 3.172 1.191 3.966
O 5.556 3.483 3.664
Co 4.403 -2.298 2.362
Co 4.403 2.423 0.000
```

***

[2]
# Li7Co2O6

A relaxed structure of Li7Co2O6 (PBE+U, the Materials Project).

Summary:
Polymorph energy (0 for the lowest one): 0 meV per atom
Total magnetization: 7.0 μB per cell
E (MP2020): -5.6393 eV/atom
Crystal system: triclinic
Calculated volume: 146.19 Å³ per cell

The structure in extended XYZ format:
```
15
Lattice="-5.289 0.000 0.000 0.721 5.304 0.000 -0.265 -2.637 -5.212" Properties=species:S:1:pos:R:3 pbc="T T T"
Li -0.868 0.697 -0.910
Li -4.157 3.108 -4.230
Li -2.137 -0.769 -4.371
Li -0.347 0.853 -4.322
Li -2.019 4.274 -0.311
Li 0.386 3.982 -1.954
Li -4.232 2.063 -0.778
O -0.863 2.721 -0.812
O -4.285 0.001 -0.969
O -0.923 2.705 -4.381
O -1.583 0.217 -2.664
O -3.606 2.386 -2.548
O -4.025 -0.239 -4.211
Co -1.644 2.381 -2.603
Co -3.536 0.415 -2.597
```

***

[3]
# Li8Co5O10

A relaxed structure of Li8Co5O10 (PBE+U, the Materials Project).

Summary:
Polymorph energy (0 for the lowest one): 0 meV per atom
Total magnetization: 13.0 μB per cell
E (MP2020): -6.0747 eV/atom
Crystal system: triclinic
Calculated volume: 254.55 Å³ per cell

The structure in extended XYZ format:
```
23
Lattice="2.157 -3.918 2.957 -6.054 1.835 2.000 -3.251 -4.028 -6.170" Properties=species:S:1:pos:R:3 pbc="T T T"
Li -2.428 -5.321 -2.158
Li -6.915 -2.987 -3.986
Li -5.093 -1.991 -2.697
Li -6.422 -1.845 -0.682
Li -0.348 -3.189 2.948
Li -4.587 -0.793 0.517
Li 0.285 -2.418 0.751
Li -0.885 -4.262 -0.293
O -2.893 -4.160 -0.645
O -3.808 -0.905 2.319
O -7.038 -1.699 -2.541
O -4.479 -2.164 -0.870
O -4.956 -3.285 -4.280
O -0.495 -2.479 -1.101
O -0.018 -4.271 1.425
O -2.179 -2.660 3.323
O -6.504 -3.626 0.155
O -3.380 -5.319 -3.855
Co -1.969 -1.034 2.466
Co -4.690 -3.887 -0.235
Co -2.947 -3.454 -4.360
Co -4.143 -2.664 3.242
Co -2.485 -2.224 -1.060
```

***

[4]
# Li4CoO4

A relaxed structure of Li4CoO4 (PBE+U, the Materials Project).

Summary:
Polymorph energy (0 for the lowest one): 0 meV per atom
Total magnetization: 39.6 μB per cell
E (MP2020): -5.6243 eV/atom
Crystal system: monoclinic
Calculated volume: 786.08 Å³ per cell

The structure in extended XYZ format:
```
72
Lattice="-0.074 -9.109 2.108 1.866 -2.032 -8.717 9.041 0.310 1.657" Properties=species:S:1:pos:R:3 pbc="T T T"
Li 5.626 -5.726 1.174
Li 7.337 -7.069 -5.040
Li 6.577 -4.554 -3.691
Li 2.603 -9.090 -3.188
Li 1.808 -4.122 -2.523
Li 2.722 -7.559 -6.320
Li 4.636 -2.090 -4.642
Li 4.281 -1.802 -2.236
Li 6.420 -4.071 -1.140
Li 4.740 -6.980 -3.738
Li 1.094 -8.173 0.562
Li 3.121 -5.888 0.994
Li 2.082 -2.554 -5.331
Li 6.924 -1.733 -2.244
Li 1.613 -6.447 -1.680
Li 2.150 -6.761 -4.100
Li 4.074 -4.448 -3.933
Li 1.724 -1.369 -0.381
Li 3.827 -3.539 0.059
Li 6.365 -8.206 0.034
Li 9.291 -4.935 -5.694
Li 7.801 -9.662 -5.003
Li 3.644 -8.327 1.394
Li 5.160 -9.555 -5.035
Li 1.233 -3.854 -0.179
Li 3.936 -8.593 -1.038
Li 4.924 -2.924 -6.944
Li 2.565 -5.098 -6.586
Li 7.350 -2.838 -5.802
Li 9.138 -9.048 -2.146
Li 8.339 -6.306 -0.784
Li 8.261 -1.051 0.596
O 6.709 -6.193 2.715
O 4.596 -7.055 0.093
O 8.110 -5.539 -4.239
O 3.675 -6.040 -5.186
O 2.742 -5.003 -0.833
O 9.274 -6.652 1.092
O 5.181 -2.557 -0.794
O 5.386 -9.848 -1.405
O 6.673 -1.734 1.674